Borges, Babel, & Boredom

John Warder
Looking for Insight
3 min readMay 1, 2013


“The certainty that everything has already been written annuls us, or renders us phantasmal.” - Jorge Luis Borges

I’ve always enjoyed reading, playing video games, and watching movies. I mean really enjoyed. I’ve memorized lines, fantasized about the plots, placed myself inside the stories, the works. Hell, I even majored in one of them. Lately, however, it seems I have had very little success finding good material in any of the previous categories. And I mean good; not average, not okay, not “fun”. Good. Excellent. Wonderful.

What comes next are data records, not part of the page:
/*
Compound: SnCl2
Source: Materials Project
Functional: r2SCAN
Structure: optimized geometry

```
data_SnCl2
_cell_length_a 9.630
_cell_length_b 4.325
_cell_length_c 15.984
_cell_angle_alpha 90.00
_cell_angle_beta 90.05
_cell_angle_gamma 90.00
_symmetry_space_group_name_H-M 'P 1 21/c 1'
_symmetry_Int_Tables_number 14
loop_
_symmetry_equiv_pos_as_xyz
'x,y,z'
'-x,-y,-z'
'-x,y+1/2,-z+1/2'
'x,-y+1/2,z+1/2'
loop_
_atom_site_label
_atom_site_type_symbol
_atom_site_fract_x
_atom_site_fract_y
_atom_site_fract_z
Sn1 Sn 0.062 0.240 0.114
Sn2 Sn 0.438 0.247 0.864
Cl1 Cl 0.079 0.249 0.323
Cl2 Cl 0.147 0.748 0.490
Cl3 Cl 0.353 0.749 0.740
Cl4 Cl 0.421 0.249 0.572
```

Results
Crystal system   monoclinic
Magnetization   0.00 Bohr magnetons per cell
Electronic total energy   -321.7 eV per cell
ΔE_f   -1055 meV per atom


Entry 1:
# Re2N2ClF9 | the Materials Project database | GGA-PBE | optimized geometry
data_Re2N2ClF9
_chemical_formula_sum 'Re8 N8 Cl4 F36'
_cell_length_a 14.5063
_cell_length_b 8.8437
_cell_length_c 8.0940
_cell_angle_alpha 90.00
_cell_angle_beta 90.00
_cell_angle_gamma 90.00
_symmetry_space_group_name_H-M 'P 1'
_symmetry_Int_Tables_number 1
_symmetry_space_group_name_Hall 'P 1'
loop_
_atom_site_label
_atom_site_fract_x
_atom_site_fract_y
_atom_site_fract_z
Re1 0.0583 0.2500 0.1459
Re2 0.2215 0.2500 0.5910
Re3 0.2785 0.7500 0.0910
Re4 0.4417 0.7500 0.6459
Re5 0.5583 0.2500 0.3541
Re6 0.7215 0.2500 0.9090
Re7 0.7785 0.7500 0.4090
Re8 0.9417 0.7500 0.8541
N1 0.0046 0.7500 0.0264
N2 0.1983 0.7500 0.2509
N3 0.3017 0.2500 0.7509
N4 0.4954 0.2500 0.5264
N5 0.5046 0.7500 0.4736
N6 0.6983 0.7500 0.2491
N7 0.8017 0.2500 0.7491
N8 0.9954 0.2500 0.9736
Cl1 0.1322 0.7500 0.4043
Cl2 0.3678 0.2500 0.9043
Cl3 0.6322 0.7500 0.0957
Cl4 0.8678 0.2500 0.5957
F1 0.0390 0.7500 0.6968
F2 0.0742 0.0403 0.1774
F3 0.0742 0.4597 0.1774
F4 0.1276 0.2500 0.4121
F5 0.1437 0.1019 0.6834
F6 0.1437 0.3981 0.6834
F7 0.1782 0.2500 0.0531
F8 0.2227 0.5985 0.9618
F9 0.2227 0.9015 0.9618
F10 0.2773 0.0985 0.4618
F11 0.2773 0.4015 0.4618
F12 0.3218 0.7500 0.5531
F13 0.3563 0.6019 0.1834
F14 0.3563 0.8981 0.1834
F15 0.3724 0.7500 0.9121
F16 0.4258 0.5403 0.6774
F17 0.4258 0.9597 0.6774
F18 0.4610 0.2500 0.1968
F19 0.5390 0.7500 0.8032
F20 0.5742 0.0403 0.3226
F21 0.5742 0.4597 0.3226
F22 0.6276 0.2500 0.0879
F23 0.6437 0.1019 0.8166
F24 0.6437 0.3981 0.8166
F25 0.6782 0.2500 0.4469
F26 0.7227 0.5985 0.5382
F27 0.7227 0.9015 0.5382
F28 0.7773 0.0985 0.0382
F29 0.7773 0.4015 0.0382
F30 0.8218 0.7500 0.9469
F31 0.8563 0.6019 0.3166
F32 0.8563 0.8981 0.3166
F33 0.8724 0.7500 0.5879
F34 0.9258 0.5403 0.8226
F35 0.9258 0.9597 0.8226
F36 0.9610 0.2500 0.3032
# **Crystal system**: orthorhombic
# **Energy**: -5.896 eV/atom
# **Symmetry**: Pnma, No. 62

***

Entry 2:
# Na21S7ClO28F6 | the Materials Project database | GGA-PBE | optimized geometry
data_Na21S7ClO28F6
_chemical_formula_sum 'Na63 S21 Cl3 O84 F18'
_cell_length_a 12.3382
_cell_length_b 12.3382
_cell_length_c 19.5723
*/

I should specify that I have read books, played games, and watched movies recently that have “entertained” me…but they have not fascinated, inspired, motivated,or captivated me. Many have just been a pleasant way to pass the time, if little more. My iPad is full of fun little games to pass the time, kill 5 minutes, or be semi-creative. But where has all the magic gone? Where are the epics? Where are the Tolkiens, the Williams, the Spielbergs? Is it just me?

### Calculated crystals, as found in the file
=====
Compound: Au
Source: the Materials Project database
Functional: PBE-GGA
Structure: relaxed

Summary:
energy relative to the lowest polymorph listed for this composition: 5.3 meV per atom

The structure in CIF format:
```
data_Au
_chemical_formula_sum 'Au2'
_space_group_name_H-M_alt 'P 63/m m c'
_space_group_IT_number 194
_space_group_name_Hall '-P 6c 2c'
_cell_length_a 2.9381
_cell_length_b 2.9381
_cell_length_c 4.8788
_cell_angle_alpha 90.00
_cell_angle_beta 90.00
_cell_angle_gamma 120.00
loop_
_atom_site_label
_atom_site_fract_x
_atom_site_fract_y
_atom_site_fract_z
_atom_site_occupancy
Au1 0.3333 0.6667 0.2500 1
```

---

Compound: Na6Si8O19
Source: the Materials Project database
Functional: PBE-GGA
Structure: relaxed

Summary:
total magnetization: 0.0001 μB per atom

The structure in CIF format:
```
data_Na6Si8O19
_chemical_formula_sum 'Na24 Si32 O76'
_space_group_name_H-M_alt 'P 1 21/c 1'
_space_group_IT_number 14
_cell_length_a 4.9628
_cell_length_b 23.7608
_cell_length_c 15.5873
_cell_angle_alpha 90.00
_cell_angle_beta 90.12
_cell_angle_gamma 90.00
loop_
_space_group_symop_operation_xyz
'x,y,z'
'-x,-y,-z'
'-x,y+1/2,-z+1/2'
'x,-y+1/2,z+1/2'
loop_
_atom_site_label
_atom_site_fract_x
_atom_site_fract_y
_atom_site_fract_z
_atom_site_occupancy
Na1 0.2340 0.0166 0.0724 1
Na2 0.2372 0.5996 0.3947 1
Na3 0.2604 0.7291 0.9924 1
Na4 0.2607 0.5499 0.0279 1
Na5 0.2644 0.1389 0.4568 1
Na6 0.2651 0.1801 0.0320 1
Si1 0.1969 0.6354 0.5885 1
Si2 0.1982 0.6586 0.1771 1
Si3 0.2026 0.1941 0.6381 1
Si4 0.2101 0.0069 0.3566 1
Si5 0.2952 0.7160 0.7478 1
Si6 0.2996 0.0660 0.6742 1
Si7 0.3013 0.1051 0.2338 1
Si8 0.3026 0.0616 0.8799 1
O1 0.1085 0.0145 0.6401 1
O2 0.1096 0.7116 0.8347 1
O3 0.1164 0.1121 0.9238 1
O4 0.1209 0.1457 0.2978 1
O5 0.2124 0.1246 0.6269 1
O6 0.2224 0.6648 0.6833 1
O7 0.2380 0.0003 0.9163 1
O8 0.2416 0.1089 0.1332 1
O9 0.2499 0.7257 0.1963 1
O10 0.2517 0.6452 0.0780 1
O11 0.2610 0.0389 0.2646 1
O12 0.2647 0.6737 0.5070 1
O13 0.2665 0.0422 0.4416 1
O14 0.2702 0.2220 0.5474 1
O15 0.2708 0.0711 0.7767 1
O16 0.3787 0.6221 0.2475 1
O17 0.3825 0.5774 0.5929 1
O18 0.3908 0.5522 0.8552 1
O19 0.3925 0.2122 0.7201 1
```

---

Compound: Ni11Ge2Te4
Source: the Materials Project database
Functional: PBE-GGA
Structure: relaxed

Summary:
total magnetization: 0.0004 μB per atom

The structure in CIF format:
```
data_Ni11Ge2Te4
_chemical_formula_sum 'Ni11 Ge2 Te4'
_space_group_name_H-M_alt 'P 4 m m'
_space_group_IT_number 99
_cell_length_a 3.7043
_cell_length_b 3.7043
_cell_length_c 19.0481
_cell_angle_alpha 90.00
_cell_angle_beta 90.00
_cell_angle_gamma 90.00
loop_
_space_group_symop_operation_xyz
'x,y,z'
'-y,x,z'
'-x,-y,z'
'y,-x,z'
'-x,y,z'
'y,x,z'
'x,-y,z'
'-y,-x,z'
loop_
_atom_site_label
_atom_site_fract_x
_atom_site_fract_y
_atom_site_fract_z
_atom_site_occupancy
Ni1 0.0000 0.0000 0.0000 1
Ni2 0.0000 0.0000 0.3090 1
Ni3 0.0000 0.5000 0.0891 1
Ni4 0.0000 0.5000 0.4126 1
Ni5 0.0000 0.5000 0.5889 1
Ni6 0.0000 0.5000 0.9113 1
Ni7 0.5000 0.5000 0.5009 1
=====

The last good book I read was Ready Player One (2011). I couldn’t put it down.The last good video games I’ve played were X3: Terran Conflict (2008), Minecraft (2009), and Skyrim (2011). I put in over one million hours into those 3 titles alone. (There might be some exaggeration there). The last good movies I’ve watched were El secreto de sus ojos (2009), Inception (2010) and The Girl with the Dragon Tattoo (2011). I kept thinking about those movies for days after watching them. That list is complete, without exaggeration (well, mostly), and I am not suffering from memory loss. Those were the last good books, video games, and movies that fascinated, inspired, motivated, and captivated me. They made me think, they made me be more creative and imaginative, they made me feel. Why are there only seven titles on a list that encompasses five and a half years?

Has humanity hit a literary/gaming/cinematic creative block? A creative void?! Am I tired of seeing the same repeated story lines, characters, themes, and special effects over and over? Or am I just getting old? Have I hit that age where the mystery, the magic, the awe, the wonder, the eye-opening surprise of opening, playing, seeing something new…becomes something old?

I keep seeing these infinite titles all around me, in books, games and movies, but the vast majority of them are full of nonsense, repetition, and fluff. Where are the Purifiers Borges spoke of?

Babel needs them.

Data records from another source follow =
VASP calculation (PBE) on a relaxed structure of Ca2Al4Si6O21.

Formation energy = -306 kJ/mol of atoms
Space group = Pc (7)
Total DFT energy (no corrections) = -7.45 eV per atom

The structure in extended XYZ format:
```
66
Lattice="-11.156 -11.752 6.968 1.129 -4.042 -5.009 7.246 -5.820 1.785" Properties=species:S:1:pos:R:3 pbc="T T T"
O 3.421 -12.840 -0.488
O -1.114 -14.337 1.468
O -2.038 -8.889 1.689
O 2.018 -7.988 -1.764
Al 3.936 -5.508 1.408
Ca -4.228 -17.907 2.217
Si 2.352 -9.538 -2.256
Si 1.736 -12.360 2.698
Si -3.133 -20.940 3.528
O -6.882 -14.469 1.321
O -6.174 -11.974 0.569
O 0.395 -13.053 3.324
O -2.186 -8.738 -1.018
O 5.562 -6.062 1.892
O 3.743 -10.238 0.768
O 1.032 -8.594 1.370
O 3.945 -9.789 -2.286
O -1.279 -18.188 3.450
Si 4.005 -6.693 -4.086
O -4.361 -16.135 7.100
O -5.018 -12.741 3.085
Si -2.243 -18.347 4.772
O -8.787 -12.385 4.412
O -3.391 -17.176 4.468
O -7.613 -13.214 6.966
O 1.251 -5.559 -1.587
Al 0.633 -4.725 -0.161
Si -7.398 -13.081 0.678
Ca 1.110 -15.407 2.450
Si -2.667 -10.271 2.292
O -2.885 -10.198 3.900
Al -1.238 -12.994 2.651
O -4.556 -14.483 5.074
O -6.645 -9.955 3.010
O -2.724 -3.839 1.504
Si -2.364 -4.675 0.092
O 3.625 -6.037 -2.635
O -4.045 -10.654 1.473
O -10.284 -12.153 6.868
Al -4.662 -12.354 1.430
O -3.036 -19.781 4.681
O -4.091 -12.005 5.513
Al -8.647 -12.036 6.112
Si -2.832 -8.266 -2.465
Al -3.505 -15.810 5.579
O -3.517 -13.422 0.690
O -2.496 -13.306 3.786
O -1.968 -15.088 6.016
Ca -0.348 -10.216 0.205
Si -2.364 -14.501 0.399
O -4.526 -7.846 0.657
O 2.434 -11.322 3.733
O -1.497 -11.382 1.920
Al 2.661 -11.366 0.011
O -2.172 -6.237 0.428
O 0.549 -5.709 1.288
Si -4.019 -13.145 4.281
O 1.495 -3.239 0.287
O 1.373 -11.673 1.244
O 4.085 -3.743 1.049
O 1.608 -10.503 -1.137
O 3.353 -6.323 -0.015
Ca 0.575 -6.121 -3.939
O -0.948 -3.956 -0.334
Al -2.751 -7.860 0.440
Si 2.620 -6.498 -1.421
```

VASP calculation (PBE) on a relaxed structure of CaAl2Si2O12.

Formation energy = -224 kJ/mol of atoms
Energy above the lowest structure with this stoichiometry = 0.0 meV/atom
Space group = P2_1 (4)
Total DFT energy (no corrections) = -6.89 eV per atom

The structure in extended XYZ format:
```
68
Lattice="10.596 0.000 0.000 0.000 9.360 0.000 0.000 0.005 10.304" Properties=species:S:1:pos:R:3 pbc="T T T"
Ca 9.882 2.625 0.219
O 8.226 2.230 3.662
Al 3.586 4.015 3.935
O 5.297 0.737 7.835
Si 6.557 5.402 4.388
O 3.491 4.191 2.215
O 4.308 2.297 0.462
O 10.407 3.929 2.704
O 6.905 8.820 2.569
O 7.493 4.624 5.535
O 0.244 4.676 9.726
O 8.833 8.941 7.735
O 3.208 4.689 9.924
O 10.462 4.832 5.745
O 2.193 6.940 1.160
O 2.195 4.741 4.768
Si 4.131 3.862 0.756
O 1.607 0.545 7.735
Ca 0.733 6.873 4.972
O 0.645 3.010 2.664
Al 8.884 5.349 6.369
O 1.825 6.338 2.171
O 10.595 8.628 2.469
Al 7.072 5.311 1.213
Si 9.429 5.503 9.548
O 9.966 7.602 2.748
O 1.911 4.243 7.377
O 8.506 4.676 0.379
O 1.453 2.419 9.669
O 6.305 6.958 4.702
O 2.565 0.024 5.020
Si 1.452 0.804 9.315
O 10.558 9.015 5.625
O 5.217 8.899 0.437
O 3.819 2.352 4.467
O 8.662 1.609 2.690

P.S. For the record, television seems not to be so affected, in my opinion. Lost was a masterpiece. The first season of The Walking Dead was phenomenal. The Big Bang Theory makes me laugh each week. House of Cards is excellent, and Hemlock Grove looks promising (nice job Netflix!). I’ve heard others rave about Breaking Bad and Vikings. Let us hope…

